
Animal Science Final Review 2011
1. Which of the following is the most common instrument used to perform
A. Stomach Tube
B. Drench Gun
C. Straw
D. Syringe
2. This type of injection is injected into large muscles, especially in the neck area.
A. Intravenous
B. Intramuscular
C. Intracardial
D. Intraocular
3. This type of injection is injected under the eyelid, into the cornea, or into another
anterior chamber.
A. Intraocular
B. Intranasal
C. Intramuscular
D. Subcutaneous
4. This type of immunity is obtained after birth and comes from another immune
animal or exposure to a disease.
A. Natural Immunity
B. Passive Immunity
C. Active Immunity
D. Acquired Immunity
5. How do newborn animals acquire passive immunity?
A. Newborn animals cannot acquire passive immunity
B. By drinking the colostrum produced by the mother
C. By injecting them with a serum
D. Both B & C
6. This tool is used to administer pills or boluses to the animal through the mouth or
down the throat.
A. Syringe
B. Balling Gun
C. Stomach Tube
D. Needles
7. Which of the following is NOT a benefit of proper livestock identification?
A. Ownership Purposes
B. Disease Prevention
C. Food Safety
D. Artificial Insemination
8. Which of the following is a common identification method for poultry?
A. Leg Band
B. Hot Iron Brand
C. Freeze Brand
D. Ear Notch
9. When identifying cattle, the method which uses ink to take an image of the
animals nose is called:
A. Finger Printing
B. Ink Printing
C. Nose Printing
D. Nose Tattoo
10. When freeze branding, what is sprayed on the animal in order to clean the
designated branding area?
A. Liquid Nitrogen
B. Water
C. Hair Spray
D. 99% Alcohol
11. Which of the following is NOT a common identification method for swine?
A. Leg band
B. Ear Notch
C. Tattoo
D. Ear tag
12. At what age should swine be ear notched, if possible?
A. 1-3 Days of age
B. 1-3 Weeks of age
C. 1-3 Months of age
D. 1-3 Years of age
13. When ear notching swine, how far apart should you leave between each notch?
A. 2 inches
B. 1/16 inch
C. 1 inch
D. ¼ inch
14. Which of the following is NOT a safety procedure mentioned in class for ear
notching swine?
A. Keep equipment clean.
B. Keep all freshly ear notched pigs confined in one pen together.
C. Avoid making notches too close to the head.
D. Store tools in a clean, dry area.
15. An animal grazing more heavily when near a water source is an example of what
type of behavior?
A. Social Behavior
B. Maternal Behavior
C. Investigative Behavior
D. Feeding Behavior
16. Distress and mating calls would be considered which type of behavior?
A. Communicative Behavior
B. Social Behavior
C. Fear Behaviors
D. Feeding Behaviors
17. What is the term for the study of animal behavior in the animal’s natural habitat?
A. Animal science
B. Ethology
C. Reality
D. Habituation
18. Which of the following is NOT an example of a social behavior?
A. Fighting
B. Social Ranks
C. Standing Heat
D. All of the above are examples of social behaviors
19. Increased temperature can be caused by infection.
A. True
B. False
20. Which of the following is a common cause of stress in animals?
A. Fatigue
B. Transportation
C. Overcrowding
D. All of the above
21. The act of exposing animals to humans in order to decrease stress on the animals
during their future contacts with people is called:
A. Imprinting
B. Impacting
C. Relating
D. Communicating
22. Which of the following is NOT one of the six classes of nutrients?
A. Water
[These records of molecules were left in the entry by mistake]
<<<
Density functional theory data (wB97M-V/def2-TZVPD) for a structure of composition C22H18FeIN2O6 at a distorted geometry.

LUMO level (alpha / beta), Eh: 0.008 / -0.095
Largest force on an atom, eV/A: 5.7
Gap between HOMO and LUMO (alpha / beta), eV: 5.700 / 6.597
Net charge: 0
HOMO energy (alpha / beta), eV: -5.48 / -9.18
Electronic energy, Ha: -2971.2036
2S+1: 6

Geometry (Å):
C  -2.423531  0.580327  3.006135
N  -1.499738  -0.125122  2.166345
C  -0.326335  0.565890  1.785568
O  -0.234698  1.774172  2.036531
C  0.649102  -0.216691  1.077360
I  2.521144  0.666235  0.857455
C  3.871521  -0.745276  1.730297
C  4.827232  -1.369970  0.931450
C  5.751883  -2.228092  1.546792
C  5.691193  -2.445616  2.931119
C  4.707650  -1.825049  3.704048
C  3.778720  -0.962932  3.097449
C  0.414621  -1.587319  0.694026
O  1.201961  -2.311892  0.070606
N  -0.877136  -2.093531  0.997267
C  -1.141392  -3.463204  0.645886
C  -1.842606  -1.423036  1.765936
O  -2.918955  -1.937936  2.063087
H  -3.245880  -0.094160  3.221503
H  -1.911561  0.869566  3.928509
H  -2.788066  1.480668  2.504636
H  4.851315  -1.187253  -0.142424
H  6.517607  -2.713689  0.939428
H  6.422461  -3.106627  3.404633
H  4.656220  -1.994278  4.778302
H  3.008429  -0.470079  3.684754
H  -2.140140  -3.711651  0.992722
H  -1.074175  -3.588459  -0.438252
H  -0.399420  -4.110099  1.123566
O  -4.121875  2.499586  -5.389272
C  -3.490568  2.153163  -4.475987
Fe  -2.280046  1.496430  -3.387498
C  -2.394749  -0.210220  -3.980034
O  -2.280722  -1.234124  -4.514729
C  -1.075735  1.754937  -4.656605
O  -0.386743  1.892321  -5.581668
C  -0.355577  0.945338  -1.313467
C  0.133358  2.239538  -1.357769
C  -0.517304  3.326916  -1.900261
C  -1.798945  3.273823  -2.526687
C  -2.947977  2.710475  -1.852957
C  -2.825134  1.490438  -1.236522
C  -1.721461  0.633866  -1.570818
H  0.340216  0.099527  -1.223279
H  1.149976  2.402887  -0.975767
H  0.001894  4.294908  -1.909831
H  -2.012418  4.099067  -3.219624
H  -3.886168  3.271503  -1.878265
H  -3.646217  1.081061  -0.643734
H  -1.931232  -0.446336  -1.509959

Force components x, y, z for each atom (eV/Å):
C -0.4859 0.4369 0.4522
N 0.6734 -0.4261 -0.4519
C -1.4917 0.6072 0.1430
O 0.2928 -1.5372 -0.2545
C -3.2548 -2.1810 0.9166
I 5.4350 1.7976 -0.1233
C -0.4166 0.3636 -0.4040
C 0.2647 -0.3503 0.1591
C -0.4929 0.3823 0.0248
C 0.0250 0.0014 -0.0590
C -0.1080 0.1954 -0.4590
C 0.2616 -0.3120 0.2730
C -0.8188 -1.2178 -0.5501
O -0.7073 1.2078 0.8877
N 0.3807 0.7876 0.4674
C -0.0598 -0.6639 -0.2575
C -0.3257 -0.1817 0.0693
O 1.4524 0.6817 -0.4106
H -0.0214 0.1236 0.0727
H -0.1723 0.0685 -0.0991
H 0.0526 -0.0939 0.1020
H 0.0453 -0.0742 0.3185
H -0.2467 0.1337 0.2067
H -0.2898 0.2386 -0.1579
H 0.0184 0.0170 -0.2509
H 0.1753 -0.0808 -0.0597
H 0.0843 -0.0381 -0.0521
H 0.0282 -0.0509 0.1594
H -0.1278 0.0145 -0.1500
O 1.0706 -0.4643 1.9010
C -2.6294 0.8433 -2.9696
Fe -0.1398 -1.8574 -0.1704
C 0.3398 -2.7752 -1.4907
O -0.4186 2.0700 1.1944
C 3.1998 0.7008 -3.5244
O -1.3676 -0.2229 2.0439
>>>
B. Protein
C. Sugars
D. Vitamins
23. This type of protein can come directly or indirectly from plants.
A. Animal Protein
B. Good Protein
C. Bad Protein
D. Plant Protein
24. Which type of mineral is required in larger quantities and must be supplemented
in the feed?
A. Macro minerals
B. Micro minerals (Trace minerals)
C. Low quality minerals
D. High quality minerals
25. Which nutrient is considered to make up the largest component of our bodies?
A. Carbohydrates
B. Protein
C. Water
D. Minerals
26. At room temperature, fats are _________ and oils are _________.
A. liquid; solid
B. hot; cold
C. cold; hot
D. solid; liquid
27. Which type of vitamin can be deadly if given in large doses?
A. Fat-soluble vitamins
B. Water-soluble vitamins
C. Oil-soluble vitamins
D. All vitamins
28. An animal with only one stomach is referred to as a:
A. Ruminant
B. Monogastric
C. Cow
D. Horse
29. Which of the following is needed when designing a ranch?
A. Land
B. Animals
C. Equipment
D. All of the above
30. When selecting feeds, the producer must consider all of the following EXCEPT:
A. Species of animal
B. Function of animal
C. How much the feed bag weighs
D. Availability and cost of feed
31. Food for animals is:
A. Food
B. Ration
C. Snacks
D. Feed
32. The injection of semen from a male into the vagina of a female by a chosen tool is
A. Natural Reproduction
B. Artificial Insemination
C. Embryo Transfer
D. Infertility
33. What does E.P.D. stand for?
A. Expected Pedigree Diagram
B. Equine Program Diagram
C. Expected Progeny Differences
D. Equine Progeny Differences
34. What chemical is commonly used as a semen extender?
A. Liquid Nitrogen
B. Water
C. Glucose
D. Glycerol
35. Which way is the preferred method to store semen?
A. Liquid Nitrogen
B. Dry ice and alcohol
C. In the refrigerator
D. Styrofoam cooler
36. Which of the following hormones can be injected into a female in order for
ovulation management, (to cause her to come into heat)?
A. Prostaglandin
C. Oxytocin
D. Both A & B
37. Which of the following animals is a ruminant?
A. Cow
B. Sheep
C. Horse
D. Both A & B
38. Anemia is an example of what type of disease?
A. Viral
B. Fungal
C. Nutritional
D. Bacterial
39. Foot Rot is an example of what type of disease?
A. Viral
B. Fungal
C. Bacterial
D. Protozoan
40. How long should you isolate new members of your herd, in order to prevent
A. 3 to 4 days
B. 3 to 4 hours
C. 3 to 4 weeks
D. 3 to 4 months
41. Which of the following is an example of a protozoan disease?
A. Coccidiosis
B. Anthrax
C. Warts
D. Black Leg
42. Which of the following is a common cause of disease in livestock?
A. Poor sanitation
B. Poor management
C. Introduction of new animals to the herd
D. All of the above
43. Which of the following is NOT an example of a viral disease?
A. Foot Rot
B. Cholera
C. Newcastle
D. Warts
44. Which of the following is a common factor determining behavior in livestock?
A. Genetics/Instincts
B. Too much sugar
C. Environment
D. Both A & C
45. Which livestock behavior is a survival emotion that motivates animals to flee
from danger?
A. Investigative
B. Shelter-Seeking
C. Fear
D. Social
46. All of the following are considered to be fat-soluble vitamins EXCEPT:
A. Vitamin A
B. Vitamin B12
C. Vitamin D
D. Vitamin E
47. The tool used for ear notching swine is called:
A. Notchers
B. Scissors
C. Syringe
D. Branding Iron
48. Which nutrient is the major source of energy for animals?
A. Protein
B. Minerals
C. Water
D. Carbohydrates
49. Which of the following is NOT a tool needed for freeze branding?
A. Styrofoam Cooler
B. Branding Iron
C. Gloves
D. Syringe
50. When freeze branding, which animal would require the longest branding time?
A. Cow
B. Horse
C. Calf
D. Colt
51. The bony tissues that form the framework of an animal’s body are
collectively called?
a. Skeletal System
c. Respiratory System
b. Circulatory System
d. Muscular System
52. What type of immunity is the protection one has from birth?
a. Acquired
b. Natural
53. This instrument is used to give pills or boluses to animals through the
mouth and down the throat.
a. Dose Syringe
c. Balling gun
b. Stomach tube
d. Drench gun
54. An injection just under the skin is called?
a. Intra-muscular
c. Subcutaneous
b. Intra-dermal
d. Intra-cardial
55. Injection made deeply into a large muscle.
a. Intra-muscular
c. Subcutaneous
b. Intra-peritoneal
d. Cutaneous
56. One reason for dehorning cattle is less chance of livestock handlers to
get injured?
a. True
b False
57. What is the number one thing to consider when dehorning cattle?
a. Weather
c. Size of horn
b. Type of herd
d. Sex
58. To clean dehorning instruments they should be soaked in a disinfecting
a. True
b. False
59. When chemically dehorning cattle the first thing you do is
a. the handler clips a circular band of hair near the base of the small,
undeveloped horn or buttons
b. the handler applies a ½ inch band of petrolatum or petrolatum jelly
to the hair
c. the handler wraps paper around one end of the stick and holds the
stick by the paper.
60. You should always clean the instruments for mechanical dehorning
before and after you use them but only worry about disinfecting it before they are
a. True
b. False
61. Four ounces of cresol per one gallon of water is a good ____________
a. disinfecting
b. pain numbing
c. blood clotting
62. Hot Iron dehorners are _______________________.
a. Bloody
b. Bloodless
63. Docking, the shortening of the tail of a young lamb, is a common practice
with sheep producers.
a. True
b. False
64. When is a lamb’s tail usually docked?
a. when they are born
b. four days to two weeks of age
c. 3 mouths of age
65. A _____________________ iron has a preformed letter or number on the
a. running iron
b. stamping
66. Which is an advantage to hot branding?
a. it is permanent
b. damage to the skin is undesirable to the tanning industry
c. hair over the brands must be clipped in the winter to allow
clear identification
67. Management is defined as the activities relating to the organization and
operation of a firm for the attainment of a specific goals.
a. True
b. False
68. What is the recommended sire to dam ration for a breeding beef
a. 1 to 12
b. 1 to 15
c. 1 to 25
69. Which of the following is not a sign of a sick animal?
a. Good appetite
b. abnormal Weight
c. Humped appearance
The litter number of swine is always marked on a pig’s
a. right
b. left
71. Intravenous injections are commonly made into the _______vein.
a. Right leg
b. Lungs
c. Jugular
72. Which biological products are used to produce immunity in animals?
a. Vaccines
b. Bacteria
c. Serums
d. All of the above
Sheep should not be placed on their backs when they are restrained?
a. True
b. False
74. Which of the following is not an instrument used in surgical castration.
a. Emasculator
b. Pocket knife
c. Burdizzo
75. A castrated calf is called a?
a. Bull
b. Boar
76. A gestation period is the length of time from:
a. Insemination to birth
b. Insemination to fertilization
c. Conception to birth
d. Birth to one year of age
c. Steer
d. Heifer
77. Artificial insemination is the primary breeding method used with
a. Turkeys
c. Pigs
b. Dairy cows
d. All of the above
78. What should newborn mammals consume immediately after
a. Water
c. Feed
b. Colosturm
d. Both a and b
79. The process of giving birth to an animal is called?
a. Gestation
c. Parturition
b. Conception
d. Fertilizaation
80. Bos indicus cattle are characterized by:
a. Long ears
c. Excessive dewlap
b. A humped-neck
d. All of the above
81. Cattle have a :
a. Single-compartment stomach
b. Two-compartment stomach
c. Three-compartment stomach
d. Four compartment stomach
82. Cattle from feed yards are taken to a processing plant when they
reach an average weight of:
a. 1100-1200 lbs
b. 1200-1300 lbs
c. 700-800 lbs
d. 800-900 lbs
83. A female horse, at least four years of age is called:
a. Colt
c. Mare
b. Gelding
d. Filly
84. Mohair comes from the:
a. Kashmir goat
b. Angora goat
c. Boer goat
d. Nubian goat
85. A castrated male goat is called:
a. Buck
c. Kid
b. Ram
d. Wether
86. Lanolin is produced from which part of the sheep?
a. Fat from by-products
c. The skin
b. The wool
d. Hooves
87. The average litter size fro swine is:
a. 1-3 piglets
c. 2-5 piglets
b. 5-8 piglets
d. 9-12 piglets
88. What is the term used when a sow or gilt gives birth to a litter of
a. Farrowing
c. Birthing
b. Calving
d. Foaling
89. A hog’s internal organs closely resemble those of a:
a. Human
c. Goat
b. Sheet
d. Horse
90. Hogs are taken to the processing plant when they reach:
a. 3-4 months of age
c. 4-6 months of age
b. 8 months
d. 1 year of age
91. Poultry refer to bird species such as:
a. Chickens
c. Turkeys
b. Ducks and geese
d. All of the above
92. A female chicken that lays eggs is a:
c. Pullet
c. Hen
d. Rooster
d. Capon
93. The primary by-product from chickens is:
a. Blood
c. Bones
b. Variety meats
d. Feathers
94. At a feed yard pens are cleaned:
a. Every day
c. At the beginning of each
b. After the cattle are processed d. Between each set of cattle
95. The manure scrapped out of the pens is:
a. Sold to area greenhouses pens
new pens
b. Applied to farm crops as fertilizer
c. Used as foundation for
d. burned in the barn
96. On average, cattle remain in the feed yard for:
a. 60-90 days
c. 120-150 days
b. 170-200 days
d. 365 days
97. Normal temperature for cattle is:
a. 87.4 F
c. 98.6 F
b. 101.5 F
d. 88.9 F
98. The batch mixer at a feed mill produces how many pounds of feed at
one time?
a. 1,000 pounds
c. 3,000 pounds
b. 6, 000 pounds
d. 10,000 pounds
99. Corn is harvested when it reaches the ideal moisture percentage of:
a. 12 percent
c. 20 percent
b. 41 percent
d. 68 percent
The most perfect food is considered:
a. Meat
c. Eggs
b. Milk
d. Liver
Cows usually chew their cud for three to four hours a day.
a. True
b. False
The period of time that a cow is producing milk is called?
a. Parturition
b. Lactation
b. Regurgitation
d. Gestation
The leading dairy state is?
a. Texas
c. Texas
b. California
d. Wisconsin
The udder has eight teats.
a. True
b. False
105. There is an estimated ______million dairy cattle in the United
a. 10 million
Calculated molecules from another source follow =
/*
1.
{
  "formula": "C4H6ClNOS",
  "method": "the ωB97M-V functional and the def2-TZVPD basis",
  "symbols": ["C", "C", "Cl", "S", "C", "H", "H", "H", "H", "H", "N", "C", "O", "H"],
  "positions_angstrom": [[-0.76445, 0.98740, 1.60081], [-0.37106, 1.04298, 0.32802], [-1.31036, 1.89859, -0.81789], [1.09328, 0.19459, -0.05198], [1.17442, -0.04605, -1.86040], [-1.64964, 1.46677, 2.11311], [-0.22590, 0.43906, 2.35454], [1.62310, 0.78821, -2.28960], [0.05723, -0.05155, -2.16592], [1.78110, -1.05193, -2.02423], [-1.96436, -1.87961, 0.96877], [-1.85024, -2.29289, -0.14430], [-1.45727, -2.78279, -1.10519], [-2.77334, -1.46988, 1.36850]],
  "forces_ev_per_angstrom": [[-1.2, 0.7, 1.2], [-0.7, -0.2, 1.4], [0.0, 0.2, -0.6], [1.1, -0.3, -0.3], [-2.0, -2.5, 0.8], [0.9, -0.2, -1.4], [0.5, -0.4, -0.3], [1.0, 1.2, -0.9], [2.1, -0.6, 0.0], [-1.6, 2.2, 0.2], [-0.4, 0.5, 1.3], [0.9, -0.4, 0.4], [0.0, -0.6, -2.0], [-0.5, 0.3, 0.3]],
  "e_above_lowest_kj_mol": 172.7,
  "multiplicity": 1,
  "e_lumo_ev": 0.565,
  "smiles": "C=C(Cl)SC.N=C=O",
  "homo_ev": -8.3139,
  "energy_ev": -31139.1492
}

2.
{
  "formula": "C44H37N2OP2S2Tl",
  "method": "the ωB97M-V functional and the def2-TZVPD basis",
  "symbols": ["Tl", "S", "C", "N", "C", "C", "C", "C", "C", "C", "S", "H", "H", "H", "H", "N", "P", "C", "C", "C", "C", "C", "C", "C", "C", "C", "C", "C", "C", "C", "C", "C", "C", "C", "C", "H", "H", "H", "H", "H", "H", "H", "H", "H", "H", "H", "H", "H", "H", "H", "O", "P", "C", "C", "C", "C", "C", "C", "C", "C", "C", "C", "C", "C", "C", "C", "C", "C", "C", "C", "H", "H", "H", "H", "H", "H", "H", "H", "H", "H", "H", "H", "H", "H", "H", "C", "H", "H", "H"],
*/
c. 5 million
b. 15 million
d. 12 million
Water is needed in the regulation of body temperature.
a. True
b. False
Nutrients are either essential or nonessential.
a. True
b. False
Which of the following is not a class of nutrients?
a. Proteins
c. Water
b. Carbohydrates
d. Calcium
The heart is responsible for pumping blood to all body parts.
a. True
b. False
110. Abdominal pains, vomiting, diarrhea sometimes with blood in it is a
symptom of:
a. Brucellosis
b. Pneumonia
b. Ecoli
d. Tetanus
111 Causes abortions in all species and may permanently reduce fertility
in a herd
a. Brucellosis
b. Tetanus
b. Lockjaw
d. Warts
112. Extreme sensitivity to bright lights, sounds, or touch, usually
contracted by an animal bite. Old Yeller.
a. Tetanus
c. Brucellosis
b. Rabies
d. Warts
Headache, fever, muscle aches, loss of appetite, swollen glands,
stiff neck,
vomiting, skin rash, caused by mosquitoes.
a. West Nile
c. Tetanus
b. Rabies
d. Warts
114. Finish refers to the amount of fat produced by market animals.
a. True
b. False
115. A ration that supports growth prevents any loss or gain of tissue in
an animal’s body when no production occurs is a finishing ration.
a. True
b. False
116. Anthelmintics should be administered to livestock on a monthly
a. True
b. False
117 . A feed additive is considered to be an antibiotic if it enhances
the growth of bacteria.
a. True
b. False
118. . MGA is a hormone used as a feed additive to suppress estrus
in females.
a. True
b. False
Buffers resist changes in the pH of the rumen when acids
are present.
a. True
b. False
The FDA conducts test to see if feed additives contain cancercausing agents.
b. True
b. False
121. To control the problem of bloat n non-ruminants, poloxaline is added
to the feed.
a. True
b. False
122. The TBA regulates the use of additives.
a. True
b. False
123. Functions of antibiotics are to limit the growth of bacteria in an
animal’s body.
a. True
b. False
124. Which is not included as major information on the feed tag or label.
a. Net weight
c. Brand name
b. Analysis of feed
d. Color of feed
125. Water content in a feed sample is determined by the weighing of a
wet sample.
a. True
b. False
126. A chemical analysis determining the crude protein content of a
feedstuff also determines the nitrogen content of the sample.
a. True
b. False
127. Crude fat is often referred to as ether content.
a. True
b. False
Palatability refers to how well an animal likes the feed.
a. True
b. False
Lush legume pastures can be a source of digestive disturbances in
livestock which may cause a bloating condition.
a. True
b. False
130. The FDA publishes a pamphlet about official information about
approval of antibiotics and other animal drugs.
a. True
b. False
A collection of pus contained in an inflamed tissue.
a. Sore
c. Abscess
b. Pinch point
d. Blemish
What percent of water is in milk?
a. 87%
c. 15%
b. 25%
d. 12%
Oldest and purest dairy cattle, came from Switzerland.
a. Holstein
c. Brown Swiss
b. Jersey
Data records, kept here for reference.
********
No. 1
C40H109Cd2N2NaO22S | ωB97M-V with the def2-TZVPD basis set

Results
Orbital gap = 8.731 eV
E_HOMO = -0.315 hartree

The geometry in XYZ format:
```
177
Properties=species:S:1:pos:R:3:lowdin_charge:R:1
H 4.68 4.50 -4.56 0.0930
H -1.47 -2.31 1.04 0.0491
H 3.02 -4.98 -2.33 0.1076
H -2.50 -1.29 4.77 0.0579
H 5.32 2.38 -4.32 0.1311
H 5.53 2.67 -2.54 0.1163
H 0.40 -5.24 3.31 0.0534
H -1.48 3.81 -2.31 0.0592
H -3.55 -3.90 3.36 0.0744
H -1.19 -7.35 0.86 0.0687
Cd 1.92 2.20 -0.91 1.4531
O -0.57 -1.01 -4.44 -0.1340
H 4.21 -0.57 1.00 0.0939
O 0.15 -6.06 2.88 -0.0753
O -0.60 3.99 1.07 -0.1635
C -0.67 6.41 0.70 -0.0694
Cd -1.05 0.29 -2.36 1.4655
C 3.27 -2.84 0.13 -0.2812
H 2.41 -1.40 4.21 0.0939
H -0.08 -2.97 -3.79 0.1006
H -6.98 0.25 -3.88 0.0705
O -2.15 -2.79 0.54 -0.1007
C 3.11 5.13 2.10 -0.0524
H 1.27 -5.55 1.15 0.0942
C -3.14 -2.26 -2.54 -0.2684
C -0.03 1.99 4.58 -0.2957
H -3.98 -3.53 0.96 0.1209
H 0.43 3.87 1.13 0.0606
O -3.58 0.88 2.17 -0.2105
H 3.25 4.21 2.65 0.0529
H -3.40 1.47 4.16 0.0794
C -4.12 1.08 3.45 -0.0847
C -4.93 2.78 -0.75 -0.1906
H -3.90 4.25 -1.93 0.1088
H -1.86 0.43 8.37 0.1006
H -1.36 -3.29 -5.86 0.0747
H -4.66 0.26 -0.99 0.1198
H 2.01 -3.01 -4.63 0.0824
H 0.75 -4.00 -1.72 0.0698
H 5.04 -4.14 -0.25 0.0628
H 3.92 5.85 2.26 0.0731
H 4.47 1.03 3.42 0.0749
H 5.47 -2.55 0.48 0.0602
O -1.96 -1.67 -2.03 -0.2263
C -2.73 -1.41 5.83 -0.0782
H -2.28 -4.76 2.63 0.0743
H 4.81 -0.70 3.23 0.0814
H 1.62 1.19 3.42 0.0669
C 0.27 -5.86 1.48 -0.3326
H 0.31 6.52 1.19 0.0656
H 4.75 3.48 0.60 0.0715
H 2.52 5.64 0.05 0.1277
H 1.56 3.01 3.54 0.0523
C 4.73 -3.36 0.44 -0.0389
C 1.43 2.06 4.05 -0.0433
H 0.44 -7.93 1.17 0.0748
H -3.38 -1.63 -3.41 0.0906
N -3.67 2.09 -0.49 -0.0231
H -1.85 4.79 -0.23 0.0637
H 5.80 -0.13 -0.81 0.1231
O 5.67 0.60 1.77 -0.1830
C -3.79 6.24 -0.35 -0.1196
H 2.46 -5.71 -0.79 0.0911
H -5.54 2.82 0.14 0.1222
H -3.02 1.07 -4.24 0.0341
H 0.10 -7.07 -0.30 0.0565
C 0.18 2.94 -3.22 -0.3482
H -1.97 -3.09 3.25 0.0607
O -2.12 1.99 -3.12 -0.4256
H -4.47 0.17 3.94 0.0849
S 0.24 -0.31 0.33 0.3247
H -0.86 -0.49 6.35 0.1030
C 3.39 -3.19 4.79 -0.0697
H 2.62 -3.73 0.09 0.0820
H 1.38 -2.44 5.26 0.0990
O -0.06 -0.91 1.65 -0.3285
H 4.93 5.12 -0.08 0.0758
H 3.17 4.99 -3.85 0.0915
H -5.24 1.78 -4.56 0.1122
H -2.09 0.65 6.28 0.0855
C -1.36 3.22 -3.21 -0.2799
C 4.08 4.43 -3.64 -0.0985
C 1.60 -2.03 -4.64 -0.0354
O 1.38 -3.09 3.40 -0.1013
H -3.06 6.25 -1.16 0.0905
H 0.75 3.83 -2.90 0.0826
H -3.93 -4.22 -2.85 0.0644
C 2.08 -2.41 4.43 -0.2756
C -5.00 0.87 -4.01 -0.3180
Na -1.90 2.07 1.33 0.3564
H -5.61 4.62 -1.59 0.1312
C -0.86 5.02 0.10 -0.2847
O -3.73 0.40 -4.47 -0.1477
H -3.93 -2.13 -1.78 0.1070
H -0.41 -5.05 1.16 0.1014
H 3.82 1.18 1.06 0.0941
C 5.07 0.66 -0.61 -0.1795
H 6.11 0.39 3.75 0.0873
C -3.17 -2.99 1.48 -0.2811
H -2.37 -3.92 -3.69 0.0577
C 4.60 0.45 0.84 -0.2276
H -0.27 -2.17 -6.69 0.0848
C 4.27 4.26 -0.01 -0.0576
C -0.15 -7.13 0.77 -0.0742
C 5.24 0.32 3.11 -0.0816
H -4.92 -0.48 1.36 0.0987
H -2.56 -2.45 6.13 0.0812
C 2.89 4.74 0.60 -0.5547
********
d. Aryshire
Distended abdomen, violent rolling or kicking is a symptom of:
a. Rabies
c. Flu
b. Colic
d. Pneumonia
Ranks # 1 in the world for pork production.
a. United States
c. California
b. China
d. Alaska
White hog, droopy ears, small bluish freckles, very prolific.
a. Chester White
c. Yorkshire
b. Hampshire
d. Duroc
Which of the following hog does not have erect ears?
a. Hampshire
c. Yorkshire
b. Berkshire
d. Duroc
Black hog six white feet, face and legs, erect ears.
a. Poland China
c. Hampshire
b. Berkshire
d. Landrace
Which is not a primal part of the hog carcass?
a. Ham
c. Loin
b. Belly
d. Hocks
140. Originated in India and Brazil, humped cattle, heat tolerant, slick
a. Brangus
c. Hereford
b. Brahman
d. Limousine
141. Originated on the King Ranch, maternal, cherry red in color,
developed for the rough, rugged terrain of South Texas.
a. Brahman
c. Hereford
b. Limousine
d. Santa Gertrudis
142. Exotic breed, light straw in color, originated in France, very heavily
a. Brahman
c. Hereford
b. Charolais
d. Santa Gertrudis
143. Medium to dark red in color, originated in England, white underline,
switch, crest, face and legs.
a. Brangus
c. Hereford
b. Limousine
d. Santa Gertrudis
Which of the following is not a leading dairy producing state?
a. California
c. Wisconsin
b. Texas
d. New York
145. A disease prevents or impairs an animal’s function and is harmful to
the surroundings.
a. True
b. False
146. If an animal’s ration is not balanced their resistance to disease is
a. True
b. False
147. Morphological defects are such as cuts and bruises, broken bones,
scratches and scrapes.
a. True
b. False
148. Bacteria can be seen with the naked eye.
a. True
b. False
149. Iron deficiency, lack of red blood cells is a symptom of:
a. Colic
c. Rabies
b. Anemia
d. Bloat
150. Sheep and goats have a tendency to over eat and this can be
deadly to them.
a. True
b. False